
Weird People on The Plane

She sat, opened her purse, and pulled a package with sanitizing wipes and a blue glove. She put on the gloves, opened the package, removed some wipes, and cleaned all aropund her: the little table, the handles, the belt , the knuckle, the back of the seat in front of her, and the one on the side. She, then, stored the used wipes in a plastic bag inside the purse, following with the wipe package and the glove.
Someone coughed a couple of times behind her, and she stretched her turtleneck over her mouth and nose in disgust.
Then, she accepted the packaged cookie the flight attendant offered to her. When she opened the package, one of the cookies jumped out of the package and landed in the cushion of the empty seat beside her. She picked up the cookie, in a reflex, and ate.


I was walking around the block, to breath some fresh air and clear my head of state thoughts, feeling as miserable as a human can feel. It was really cold and windy, adding to my hopelessness.
That's when I saw them, a couple in rags, pushing a supermarket cart with their belongings. They were holding hands and they had sparking eyes, despite the cold wind on their face, pushing their dirt hair backwards. They were oblivious to the temperature, to me, to everything: they had each other.
How could I feel miserable? I have seen the face of hope.

Medo do quê?

Medo de quê?
O que há no escuro?
A escuridão que esconde.
Esconde o quê, que se tem medo?
Seus próprios segredos?
Não, a escuridão de não ser.
Portanto, luz faz do homem ribalta.

Dive within

Someone pasted data records at this point:
┌──
106
Lattice="10.996 0.000 0.000 -5.498 9.522 0.000 0.000 0.000 17.678" Properties=species:S:1:pos:R:3 comment="Sm6Al43Cr4 GGA-PBE relaxed" ef_ev_per_atom=-0.27 space_group="P6_3/mcm (193)" m_tot_mub_per_fu=2.810 final_energy_ev_per_atom=-4.57 pbc="T T T"
Sm -2.587 4.481 1.688
Sm -2.587 4.481 7.151
Sm -2.911 5.042 10.527
Sm -2.911 5.042 15.990
Sm 5.174 0.000 1.688
Sm 5.174 0.000 7.151
Sm 2.587 4.481 10.527
Sm 2.587 4.481 15.990
Sm 5.822 0.000 10.527
Sm 5.822 0.000 15.990
Sm 2.911 5.042 1.688
Sm 2.911 5.042 7.151
Al -0.795 1.378 13.258
Al -0.851 1.474 2.046
Al -0.851 1.474 6.793
Al -1.370 2.373 9.389
Al -1.370 2.373 17.128
Al -4.128 7.149 0.550
Al -4.128 7.149 8.289
Al -4.647 8.048 10.885
Al -4.647 8.048 15.632
Al -4.702 8.145 4.419
Al -1.416 5.201 4.419
Al -1.701 5.696 13.258
Al 1.591 0.000 13.258
Al 0.795 1.378 4.419
Al 1.702 0.000 2.046
Al 1.702 0.000 6.793
Al 0.851 1.474 10.885
Al 0.851 1.474 15.632
Al -0.403 3.709 11.783
Al -0.403 3.709 14.733
Al -2.487 7.319 2.944
Al -2.487 7.319 5.895
Al 0.403 3.709 2.944
Al 0.403 3.709 5.895
Al -2.084 8.017 11.783
Al -2.084 8.017 14.733
Al 0.000 4.703 0.000
Al 0.000 4.703 8.839
Al -1.424 7.171 0.000
Al -1.424 7.171 8.839
Al 2.740 0.000 9.389
Al 2.740 0.000 17.128
Al 1.370 2.373 0.550
Al 1.370 2.373 8.289
Al 0.000 6.348 2.270
Al 0.000 6.348 6.568
Al 0.000 6.348 11.109
Al 0.000 6.348 15.407
Al 3.414 1.505 11.783
Al 3.414 1.505 14.733
Al 3.011 2.204 2.944
Al 3.011 2.204 5.895
Al 1.416 5.201 13.258
Al -0.286 8.148 4.419
Al 1.701 5.696 4.419
Al 0.286 8.148 13.258
Al 4.073 2.352 0.000
Al 4.073 2.352 8.839
Al 1.424 7.171 0.000
Al 1.424 7.171 8.839
Al 5.212 1.375 4.419
Al 3.797 3.826 13.258
Al 5.784 1.375 13.258
Al 4.082 4.321 4.419
Al 2.487 7.319 11.783
Al 2.487 7.319 14.733
Al 2.084 8.017 2.944
Al 2.084 8.017 5.895
Al 5.498 3.174 2.270
Al 5.498 3.174 6.568
Al 5.498 3.174 11.109
Al 5.498 3.174 15.407
Al 8.255 0.000 0.550
Al 8.255 0.000 8.289
Al 4.128 7.149 9.389
Al 4.128 7.149 17.128
Al 6.922 2.352 0.000
Al 6.922 2.352 8.839
Al 5.498 4.819 0.000
Al 5.498 4.819 8.839
Al 7.582 1.505 2.944
Al 7.582 1.505 5.895
Al 5.094 5.813 11.783
Al 5.094 5.813 14.733
Al 7.985 2.204 11.783
Al 7.985 2.204 14.733
Al 5.901 5.813 2.944
Al 5.901 5.813 5.895
Al 9.294 0.000 10.885
Al 9.294 0.000 15.632
Al 4.647 8.048 2.046
Al 4.647 8.048 6.793
Al 9.405 0.000 4.419
Al 4.702 8.145 13.258
Al 7.199 3.826 4.419
Al 6.913 4.321 13.258
Cr 0.000 0.000 0.000
Cr 0.000 0.000 8.839
Cr -1.461 2.531 4.419
Cr -4.036 6.991 13.258
Cr 2.923 0.000 4.419
Cr 1.461 2.531 13.258
Cr 8.073 0.000 13.258
Cr 4.036 6.991 4.419

46
Lattice="0.000 7.209 7.209 7.209 0.000 7.209 7.209 7.209 0.000" Properties=species:S:1:pos:R:3 comment="SmAl20Cr2 GGA-PBE relaxed" ef_ev_per_atom=-0.14 space_group="Fd-3m (227)" m_tot_mub_per_fu=2.231 final_energy_ev_per_atom=-4.45 pbc="T T T"
Sm 1.802 1.802 1.802
Sm 12.616 12.616 12.616
Al 0.000 0.000 0.000
Al 3.605 3.605 0.000
Al 3.605 0.000 3.605
Al 4.709 2.764 2.764
Al 8.050 6.106 2.764
Al 8.050 2.764 6.106
Al 9.710 6.368 6.368
└──

Dive in you.
Dive in the most of you
Discover, within, the truth
without make-up.
Look through the belly button
from inside
it must be like a picture
in a pin head
From within, stretch your arms,
Reaching for something else.
It hurts,
but the person inside will follow
and the future will be complete
in two.


Absurdos do Brasil

Veja no vídeo abaixo o quanto custa por ano cada parlamentar brasileiro. Na casa dos milhões!!!
Depois, decida se você vai reeleger alguém.
Eu não vou.

### Next to the entry, the page also holds data records
<<<
1.
DFT (GGA+U) results for a geometry-optimized Sr2TiFeO6 structure.

a = 7.883 Å, b = 7.883 Å, c = 7.883 Å
α = 90.00°, β = 90.00°, γ = 90.00°
Space group Fm-3m (No. 225)
Asymmetric unit:
Sr 0.250 0.250 0.250 (multiplicity 8)
Ti 0.000 0.000 0.000 (multiplicity 4)
Fe 0.000 0.000 0.500 (multiplicity 4)
O 0.000 0.000 0.249 (multiplicity 24)

2.
DFT (GGA+U) results for a geometry-optimized Li3V3P8O29 structure.

Properties
* polymorph energy (0 for the lowest one): 11 meV per atom

a = 9.732 Å, b = 9.766 Å, c = 14.373 Å
α = 89.29°, β = 89.69°, γ = 60.14°
Space group P1 (No. 1)
Asymmetric unit:
Li 0.000 0.000 0.000 (multiplicity 1)
Li 0.061 0.110 0.399 (multiplicity 1)
Li 0.461 0.546 0.500 (multiplicity 1)
Li 0.539 0.655 0.891 (multiplicity 1)
Li 0.688 0.635 0.385 (multiplicity 1)
Li 0.769 0.329 0.940 (multiplicity 1)
V 0.201 0.895 0.198 (multiplicity 1)
V 0.208 0.325 0.705 (multiplicity 1)
V 0.333 0.326 0.192 (multiplicity 1)
V 0.335 0.762 0.700 (multiplicity 1)
V 0.763 0.895 0.695 (multiplicity 1)
V 0.778 0.762 0.196 (multiplicity 1)
P 0.069 0.247 0.103 (multiplicity 1)
P 0.090 0.103 0.612 (multiplicity 1)
P 0.104 0.659 0.584 (multiplicity 1)
P 0.105 0.664 0.080 (multiplicity 1)
P 0.436 0.992 0.313 (multiplicity 1)
P 0.439 0.988 0.816 (multiplicity 1)
P 0.449 0.552 0.284 (multiplicity 1)
P 0.471 0.407 0.793 (multiplicity 1)
P 0.542 0.244 0.610 (multiplicity 1)
P 0.545 0.645 0.108 (multiplicity 1)
P 0.680 0.645 0.601 (multiplicity 1)
P 0.687 0.107 0.111 (multiplicity 1)
P 0.851 0.548 0.782 (multiplicity 1)
P 0.854 0.014 0.295 (multiplicity 1)
P 0.991 0.012 0.787 (multiplicity 1)
P 0.997 0.410 0.286 (multiplicity 1)
O 0.003 0.320 0.370 (multiplicity 1)
O 0.022 0.090 0.523 (multiplicity 1)
O 0.027 0.415 0.783 (multiplicity 1)
O 0.027 0.988 0.285 (multiplicity 1)
O 0.095 0.818 0.122 (multiplicity 1)
O 0.097 0.677 0.977 (multiplicity 1)
O 0.110 0.069 0.113 (multiplicity 1)
O 0.114 0.246 0.621 (multiplicity 1)
O 0.115 0.510 0.633 (multiplicity 1)
O 0.115 0.654 0.481 (multiplicity 1)
O 0.151 0.417 0.266 (multiplicity 1)
O 0.151 0.855 0.774 (multiplicity 1)
O 0.226 0.253 0.114 (multiplicity 1)
O 0.250 0.949 0.633 (multiplicity 1)
O 0.252 0.666 0.625 (multiplicity 1)
O 0.254 0.517 0.122 (multiplicity 1)
O 0.287 0.135 0.775 (multiplicity 1)
O 0.288 0.705 0.266 (multiplicity 1)
O 0.288 0.987 0.269 (multiplicity 1)
O 0.316 0.398 0.784 (multiplicity 1)
O 0.386 0.800 0.122 (multiplicity 1)
O 0.388 0.237 0.630 (multiplicity 1)
O 0.419 0.995 0.416 (multiplicity 1)
O 0.426 0.408 0.278 (multiplicity 1)
O 0.426 0.586 0.784 (multiplicity 1)
O 0.427 0.140 0.264 (multiplicity 1)
O 0.444 0.972 0.919 (multiplicity 1)
O 0.446 0.833 0.774 (multiplicity 1)
O 0.510 0.664 0.611 (multiplicity 1)
O 0.512 0.239 0.114 (multiplicity 1)
O 0.525 0.565 0.371 (multiplicity 1)
O 0.536 0.333 0.524 (multiplicity 1)
O 0.556 0.567 0.018 (multiplicity 1)
O 0.561 0.533 0.196 (multiplicity 1)
O 0.568 0.328 0.699 (multiplicity 1)
O 0.574 0.338 0.875 (multiplicity 1)
>>>
### The data records stop here

Veja quanto ganha o político no congresso americano:
As of 2008, rank-and-file members of Congress received a yearly salary of $169.300 per year. Congressional leaders are paid $183,500 per year. The Speaker of the House of Representatives earns $212,100 per annum. The salary of the President pro tempore for 2006 is $183,500, equal to that of the majority and minority leader of the House and Senate.[39] (From Wikipedia, 2009)

Ou seja : R$ 295.259,20 por ano (dólar - R$1,744). Salário fixo. Ok, ok, pode dobrar se quiser considerar impostos e outros, ainda assim. E os funcionários de gabinete são do Congresso, não deles, sem nepotismo, etc.

Ignore os erros de Português, porque a informação é do Bom-Dia Brasil.


See how interesting this blog, where you can access videos to learn the language Tupi-Guarani, the native language of Brazilian indians of most influence in the Brazilian Portuguese. Very interesting, with several words we, Brazilians, know and use all the time. Browse for other lessons. Have fun!
(The video is in Portuguese-Tupi-Guarani)
